View Full Version : Have You Ever Really Loved A Woman ? [Open Challenge]

Eve Siren
Jun 19th, 2002, 06:47:45 PM
"To really love a woman,
To understand her,
You've got to know her deep inside ...
Hear every thought,
See every dream,
And give her wings when she wants to fly.
Then when you find yourself lying helpless in her arms ...
You know you really love a woman ...."

The Sith Knight's fingers pressed on the piano keys softly, her voice just seemed singing like she was actually nice.

"When you love a woman,
You tell her that she's really wanted.
When you love a woman,
You tell her that she's the one.
'Cause she needs somebody, to tell her that it's gonna last forever.
So tell me have you ever really ... really, really ever loved a woman?"

The song became more serious, slowly, it looked like she was almost sadened by the song.

"To really love a woman,
Let her hold you,
Till you know how she needs to be touched.
You've got to breathe her, really taste her,
'Til you can feel her in your blood.
And when you can see your unborn children in her eyes ...
You know you really love a woman."

She continued with the chorus, then finished the song. Sitting on stage in a bar, she smiled gently at a few couples snuggling, and others applauding at her performance. It was the first time she sang a soft song, instead of a depressing rock one. She bowed her head, then went down the stage, exhaling slightly of exhaust.

Daegal Murdoch
Jun 19th, 2002, 09:05:26 PM
Cloaked in both Darkness, and his large, flowing, black overcloak, Daegal Murdoch was a figure shrouded in mystery this evening. He had come to this small, outlandish planet in search of a new weapon, but had immediately felt a Dark presence upon his arrival. Through a combination of time and concentration, he had finally found the build that was the source of the disturbance. He entered the bar just as Eve Siren, someone he knew only by reputation, was walking down from the stage.

Moving with a combination of speed and finesse, he had managed to make his way through the cloud to where the woman was sitting after her most impressive performance. Sitting next to her without so much as a word, Daegal spoke, though his gaze was straight ahead.

"Most wonderful performance, Miss Siren."

Eve Siren
Jun 20th, 2002, 07:51:49 AM
Eve turned her head to the side, surprised. She spoke, but turned her head back towards the center stage, where other singers and bands have taken the place.

"Ah, Murdoch. What brings you here ? Surely not just my singing."

She ordered a small glass of milk and a glass of JD. She drank the milk in one shot. Unfortunately, she ran out of Tryptophan pills, so milk was all she could rely on before heading back to the HQ's medbay to steal some more pills.

Jun 24th, 2002, 11:12:55 AM
Trouble seemed to follow him wherever he went. His last visit to a club had resulted in a scuffle with a bounty hunter – one that he’d been lucky to get out of alive. After that incident, he had avoided going to clubs alone for a while. The elder members of the Sith Order had suggested it, and for some time, he’d listened. And this night, it wasn’t that he was ignoring their wishes on purpose, it was more that he was a restless eighteen year old kid, and when adventure called, he listened. That and the fact that is was a Friday night, and the thought of spending it alone in his room at the castle had been the last thing he really wanted to do. Not that there was anything wrong with his room, in fact, it was quite nice, but he didn’t want to be staying in by himself. He wanted to be out having a good time.

So he had come to this club. He’d arrived in time to catch the end of the last song. The woman had a nice voice, and he wished he’d been able to get there just a little earlier. But he didn’t dwell on it. Instead he made his way through the crowd towards the bar and ordered a drink. When it was safely in hand, he leaned back against the bar waiting for the next band. It was at this point that a woman came up beside him to the bar to order her choice of beverage. Being an eighteen year old kid, he couldn’t help but look at her, his violet eyes remaining for perhaps a moment longer than they should have. He was usually pretty good about being subtle, but the comment on her performance by the figure cloaked in black had distracted him.

Eve Siren
Jun 24th, 2002, 05:10:26 PM
Eve looked at the man from the corner of her eyes with a cofused look. He had been staring for a while ... Umm, violet. She finally turned and cocked her head to the side, looking back at him.

"What do you want ? My picture ?"

Jun 25th, 2002, 07:29:14 AM
His cheeks flushed a deep shade of red as the woman turned to face him. It was then that he realized he'd been staring and she had caught him doing it, and certainly, he was embarrassed.

He opened his mouth to answer,and then shut it again before he looked more like a fool. His violet eyes looked instantly away, but then back to her, almost shyly. She was expecting an answer, it seemed, to her question.

"No." He replied, somewhat unsure of himself for a moment. And it showed on his face. It was an honest answer, for he hadnt been staring at her with the intent of asking for one. But he hadnt been able to pull his eyes away before for a reason - she was an attractive woman, and if he'd been a bit smarter about it, perhaps he would gotten a picture of her.

"I just heard the last song and thought the woman singing had a...a haunting sort of voice." He admitted, and realizing his words perhaps sounded insulting, he quickly added.

"In a good way, I mean." By this point, he'd stopped leaning on the bar and had straightened his healthy 6'2" frame. His mother had ingrained in him a respect for women, and lounging against the bar while speaking with Eve would have been on the list of unacceptable behaviors. In all the things she hadnt been able to give him or teach him in raising him a a single mother, this was one thing, at least, he would always take with him.

"I didnt realize that you were her until I overheard him," He nodded in the direction of the cloaked figure, "say something about it."

Slowly, the flush faded from his cheeks a bit as he spoke with her.

"Do you sing here often?" He asked. It sounded like a pick up line, and as soon as the words came from his mouth he took a good drink of the beer he'd ordered. He'd only been here 10 minutes or so, but already he was considering turning around, walking back out the door and heading back to the castle.

Eve Siren
Jun 25th, 2002, 03:43:59 PM
Eve was surprised she didn't hear the words 'honey', 'baby' or 'bed' in the sentences the man just said. Umm ... Polite. She noticed his light blush then noticed it faded after a little minute.

"No ... It's my first time. I don't usually sing in bars, but I just felt like it, today." She said, her gaze slowly turning towards her drink.

"And you ? Come here, often ?"

Dios Kane
Jun 25th, 2002, 04:00:31 PM
:: Dios stood up in the back and moved toward the front with a glass in his hand::
Excuse me Miss? Are you going to be singing again tonight?
:: He visited bars often and had never heard someone sing in a bar for a while. This person was good and he wanted to know if he was priviledged to hear more while he drank::

Jun 26th, 2002, 07:48:36 AM
His violet eyes focused on her as she spoke. He was surpised to hear this was her first time singing in a bar, for she'd sounded as if she was quite used to it, from the little he'd heard at least.

He shook his head in answer to her question.

"No..." He replied, "This is my first time at this place. It was the closest planet to where I'm living, and I pretty much just followed the crowd on the streets once I got here. Everyone seemed to be coming here." He added in explanation.

"I'm Sasha." He said, introducing himself.

"And Im sorry, but I didnt catch your name after your performance. The crowd was screaming so loudly..."

It was at this point that Dios joined them. Sasha had met the guy once before in an alley - at odds for a brief time, then settling the matter over a round of drinks.

He wasnt surprised that this woman was attracting all these admirers to her. She was beautiful, and if the rest of her performance had been as good as her last song, it wouldnt be long before the rest of the men in the bar had gathered around her.

Dios Kane
Jun 26th, 2002, 09:26:32 AM
:: Dios looked over and noticed Sasha talking to the singer and he raised his glass to him, he didn't want to interupt anything so he went back and sat down at his table and refilled his drink.::

Eve Siren
Jun 26th, 2002, 12:16:39 PM
"I ... don't think I'll be singing anymore tonight." Eve asid, replying to the other man's question.

She then turned her head back towards Sasha and exhaled slightly, taking a small sip of her drink. She closed her eyes, staying silent for a minute then re-opened them, looking back at him with her light brown eyes.

"They call me the Dark Angel, but the name's Eve. Eve Siren, Sith Knight of The Sith Empire."

Dios Kane
Jun 26th, 2002, 12:20:53 PM
:: As Dios walked away he overheard her say "Dark Angel" and laughed as he compared himself the "Drinking Angel." He sat down and drank. This was gonna be a long night and he had the time.::

Jun 26th, 2002, 12:46:27 PM
The Dark Angel. The nickname somehow seemed to suit her, though he knew nothing of her with the exception of her voice, and now the fact that her name was Eve, and she was a member of the Sith Empire.

His violet eyes watched as she closed her own light brown ones and exhaled after answering Dios's question. She seemed to be collecting herself, as one does when they count to ten in an effort to keep from losing their cool.

He liked her eyes. There was soemthing in them that told him she was dangerous, yet the soft brown of them was alluring. He felt the heat of a slight blush rise to his cheeks once again, and he looked away for a moment, before his eyes met hers again.

"Are you from around here?" He asked. He knew that as part of TSE, she likely had a place to call home with them, but he wondered what had brought her here to this planet.

Eve Siren
Jun 26th, 2002, 01:36:00 PM
"No ... I just need to get away sometimes, you know ? Go somewhere where I won't be spotted and recognized ..." She almost murmured the last words.

"Guess I gotta check this planet off my list." She went back to her normal tone, her comment aiming at the crowd she had sang to, earlier.

Jun 26th, 2002, 02:15:16 PM
Her words were murmered at first as she responded to him. He cocked his head slightly as he listened to her. He wasnt sure if she just preferred to be left alone, or if her words meant that there were people out there looking for her. If that were the case, she wouldnt have been up on stage, he figured. Perhaps she just liked having peace and quiet every now and then.

As she continued speaking, her voice reached its normal tone, and he couldnt help but grin and look out at the crowd as well. It wasnt the most impressive bunch of people, at a first glance. But then, the lights were dim, most people there were drunk, and the band that followed Eve just couldnt compare to her. In fact, they paled greatly in comparison.

"I dont know, I'd maybe give it a second chance at another bar..." He commented, his grin reaching his eyes finally, in the form of a mischievious sparkle as he responded to her plan to check this planet off on her list of places she'd visited.

To see him smile was somewhat of a rare occurrence. He was an easy going kid who loved more than anything hanging with friends and having a good time. But he'd been raised by a single mother, and he'd worked most of his life to help the two of them get by. This had given him his serious, practical outlook on life, and he carried that in his countenance unless he was having a good enough time that for the moment, he could forget the things that bothered him.

Eve Siren
Jun 27th, 2002, 08:05:13 AM
Eve chuckled and shook her head. She stook another sip of her drink, and shrugged. "Just a thing the 'Dark Angel' does. I never do it at the same place, twice. Soon, I'll probably run out of planets ..."

She shrugged her shoulders, then took out orange-lens glasses from her jacket's pocket, and put them on. She gave a light smile to Sasha and stood up. Her glass was only half-empty, half-full. Then again, she rarely finished her drinks ... Umm.

"Well, it was nice to meet you, Sasha."

She then leaned down and whispered in his ear.

"Next time you see me again, there's big possibility that I won't be this nice. You know ... My Sith role."

She then grinned, and walked towards the exit/entrance. Aurora, Evelyn, Eve Siren, Dark Angel, Sith Knight ... Class-A B*tch. Heh.

Jun 27th, 2002, 08:40:30 AM
He watched as she put her sunglasses on. It was night. It was dark out. And certainly, it was dark inside as well, save for the annoying flashing of the spotlight as it played on the band.

As she leaned to whisper in his ear, his lighthearted expression faded and was replaced by a more brooding expression. Why was it that Sith women felt the need to be so damn confusing. Mu Satach had taught him a lesson or two about them - just when you thought they had a soft side to them, that you somewhat understood them, they showed you just how utterly fake and deceiving they could be. Her words had reminded him of how innocent he sometimes was, trusting in others perhaps a bit too easily. He hated that he did it - he considered it a fault - and he hated being reminded of his own faults. And though she likely had had no intention of doing so, Eve had just reminded him of this.

Next time you see me again, there's a big possibility that I won't be this nice. You know ... My Sith role

**Next to the entry, the page also holds calculated crystals**
____________
[1]
# TeMoSe PBE relaxed
data_TeMoSe
_space_group_name_H-M_alt 'P 3 m 1'
_space_group_IT_number 156
_space_group_name_Hall 'P 3 -2"'
_cell_length_a 3.4406
_cell_length_b 3.4406
_cell_length_c 39.0522
_cell_angle_alpha 90.00
_cell_angle_beta 90.00
_cell_angle_gamma 120.00
loop_
_atom_site_label
_atom_site_fract_x
_atom_site_fract_y
_atom_site_fract_z
_atom_site_occupancy
Te1 0.0000 0.0000 0.0000 1
Te2 0.0000 0.0000 0.0950 1
Te3 0.0000 0.0000 0.3757 1
Te4 0.0000 0.0000 0.4708 1
Mo1 0.0000 0.0000 0.2354 1
Mo2 0.0000 0.0000 0.8596 1
Mo3 0.3333 0.6667 0.0475 1
Mo4 0.3333 0.6667 0.4232 1
Se1 0.3333 0.6667 0.1935 1
Se2 0.3333 0.6667 0.2773 1
Se3 0.3333 0.6667 0.8178 1
Se4 0.3333 0.6667 0.9015 1
# Mass density (g cm⁻³): 5.0
# Crystal system: trigonal
# Formation enthalpy at 0 K (eV/f.u.): -1.81
# Total magnetization (μB per formula unit): 0.00
# Energy with MP2020 corrections (eV/atom): -6.432

[2]
# TeMoSe PBE relaxed
data_TeMoSe
_space_group_name_H-M_alt 'P 3 m 1'
_space_group_IT_number 156
_space_group_name_Hall 'P 3 -2"'
_cell_length_a 3.4386
_cell_length_b 3.4386
_cell_length_c 24.3653
_cell_angle_alpha 90.00
_cell_angle_beta 90.00
_cell_angle_gamma 120.00
loop_
_atom_site_label
_atom_site_fract_x
_atom_site_fract_y
_atom_site_fract_z
_atom_site_occupancy
Te1 0.0000 0.0000 0.0000 1
Te2 0.0000 0.0000 0.1524 1
Mo1 0.0000 0.0000 0.7752 1
Mo2 0.3333 0.6667 0.0762 1
Se1 0.3333 0.6667 0.7081 1
Se2 0.3333 0.6667 0.8425 1
# Mass density (g cm⁻³): 4.0
# Crystal system: trigonal
# Formation enthalpy at 0 K (eV/f.u.): -1.81
# Total magnetization (μB per formula unit): 0.00
# Energy with MP2020 corrections (eV/atom): -6.431

[3]
# TeMoSe PBE relaxed
data_TeMoSe
_space_group_name_H-M_alt 'P -3 m 1'
_space_group_IT_number 164
_space_group_name_Hall '-P 3 2"'
_cell_length_a 3.4406
_cell_length_b 3.4406
_cell_length_c 39.0368
_cell_angle_alpha 90.00
_cell_angle_beta 90.00
_cell_angle_gamma 120.00
loop_
_atom_site_label
_atom_site_fract_x
_atom_site_fract_y
_atom_site_fract_z
_atom_site_occupancy
Te1 0.3333 0.6667 0.2343 1
Te2 0.3333 0.6667 0.3293 1
Mo1 0.3333 0.6667 0.0939 1
Mo2 0.3333 0.6667 0.7182 1
Se1 0.3333 0.6667 0.8642 1
Se2 0.3333 0.6667 0.9480 1
# Mass density (g cm⁻³): 5.0
# Crystal system: trigonal
# Formation enthalpy at 0 K (eV/f.u.): -1.81
# Total magnetization (μB per formula unit): 0.00
# Energy with MP2020 corrections (eV/atom): -6.432

[4]
# TeMoSe PBE relaxed
data_TeMoSe
_space_group_name_H-M_alt 'P -3 m 1'
_space_group_IT_number 164
_space_group_name_Hall '-P 3 2"'
_cell_length_a 3.4393
_cell_length_b 3.4393
_cell_length_c 14.2448
_cell_angle_alpha 90.00
_cell_angle_beta 90.00
_cell_angle_gamma 120.00
loop_
_atom_site_label
_atom_site_fract_x
_atom_site_fract_y
_atom_site_fract_z
_atom_site_occupancy
Te1 0.3333 0.6667 0.3748 1
Mo1 0.3333 0.6667 0.7563 1
Se1 0.3333 0.6667 0.1302 1
# Mass density (g cm⁻³): 6.9
# Crystal system: trigonal
# Formation enthalpy at 0 K (eV/f.u.): -1.81
# Total magnetization (μB per formula unit): 0.00
____________

It was, perhaps, hypocritical of him - for being a Sith himself, he was the same way. He could be a sweet, relatively innocent eighteen year old one moment, or a brooding, confrontational ball of anger the next.

His jaw clenched slightly, and his violet eyes followed her as she walked towards the door. He could feel anger rising with each step she took.

He hadnt meant to project it, but he likely did. He hadnt quite learned to control or channel his emotions as well as he would have liked.

"Why not just be her all the time? Why bother pretending with anything else if thats the case..." He cursed under his breath. He hadnt come to the bar with any purpose other than to have a drink and relax. But her comment had put him in a bad mood. He set his drink on the bar, and like hers, it was still partially full.

He made his way to the exit as well, not intending to follow her, though there was no other way to leave the establishment.